I know what the probability mass function of a multinomial logit model is. However, I do not know what the probability mass function of an individual observation i, f(yi|xi), is for a multinomial logit model. I would really appreciate if someone could explain how to get the answer and knows the correct answer.
$\begingroup$ I'm voting to close this question as off-topic because this belongs to Cross-Validated. $\endgroup$– luchonachoCommented Oct 16, 2017 at 11:54
2$\begingroup$ I disagree, I considered what category my question should be asked to. I am studying econometrics and the topic of multinomial logit models is being discussed in all of my economics textbooks and by my professor. It is correct that this question could also be asked in the cross validated forum, but I would ask you not to delete my question in case anyone in econometrics or quantitative economics can help me. Thanks $\endgroup$– Niam45Commented Oct 16, 2017 at 12:05
$\begingroup$ I agree with @Amy that this question is on-topic. As explained in the help section, econometrics/statistics is on-topic here, even though there is overlap with cross-validated.se: economics.stackexchange.com/help/on-topic $\endgroup$– jmbejaraCommented Oct 16, 2017 at 13:24
Materials data from another source follow
+++
Here is an optimized crystal structure of Rb3Sc3PaS8 from the Alexandria database. Energies are from PBE.

Unit cell a=8.964 b=8.964 c=8.964 alpha=51.16 beta=51.16 gamma=51.16
Fractional coordinates of all 15 atoms:
1 Rb 0.000 0.500 0.500
2 Rb 0.500 0.000 0.500
3 Rb 0.500 0.500 0.000
4 Sc 0.000 0.000 0.500
5 Sc 0.000 0.500 0.000
6 Sc 0.500 0.000 0.000
7 Pa 0.500 0.500 0.500
8 S 0.219 0.732 0.732
9 S 0.227 0.227 0.227
10 S 0.268 0.268 0.781
11 S 0.268 0.781 0.268
12 S 0.732 0.219 0.732
13 S 0.732 0.732 0.219
14 S 0.773 0.773 0.773
15 S 0.781 0.268 0.268

Output
The raw total energy comes out at -0.4415 Ry per atom. For the energy relative to the elements, uncorrected, the calculation gives -25.7 eV/f.u. The calculated volume comes out at 403.2 Å³ per cell.

Here is an optimized crystal structure of RbPaSeS2 from the Alexandria database. Energies are from PBE.

Unit cell a=5.264 b=5.264 c=5.552 alpha=90.00 beta=90.00 gamma=90.00
Fractional coordinates of all 5 atoms:
1 Rb 0.000 0.000 0.000
2 Pa 0.500 0.500 0.500
3 Se 0.500 0.500 0.000
4 S 0.000 0.500 0.500
5 S 0.500 0.000 0.500

Output
The raw total energy comes out at -0.4376 Ry per atom. For the energy relative to the elements, uncorrected, the calculation gives -7.6 eV/f.u. The calculated volume comes out at 153.9 Å³ per cell.

Here is an optimized crystal structure of Rb2PaSe2S2 from the Alexandria database. Energies are from PBE.

Unit cell a=8.591 b=8.591 c=7.509 alpha=115.65 beta=115.65 gamma=29.42
Fractional coordinates of all 7 atoms:
1 Rb 0.163 0.163 0.160
2 Rb 0.837 0.837 0.840
3 Pa 0.000 0.000 0.500
4 Se 0.495 0.495 0.741
5 Se 0.505 0.505 0.259
6 S 0.169 0.169 0.677
7 S 0.831 0.831 0.323

Output
The raw total energy comes out at -0.3691 Ry per atom. For the energy relative to the elements, uncorrected, the calculation gives -8.5 eV/f.u. The calculated volume comes out at 243.5 Å³ per cell.

Here is an optimized crystal structure of Rb2PaSiS6 from the Alexandria database. Energies are from PBE.

Unit cell a=7.383 b=7.383 c=6.198 alpha=90.00 beta=90.00 gamma=120.00
Fractional coordinates of all 10 atoms:
1 Rb 0.333 0.667 0.209
2 Rb 0.667 0.333 0.791
3 Pa 0.000 0.000 0.500
4 Si 0.000 0.000 0.000
5 S 0.151 0.302 0.789
6 S 0.151 0.849 0.789
7 S 0.302 0.151 0.211
8 S 0.698 0.849 0.789
9 S 0.849 0.151 0.211
10 S 0.849 0.698 0.211

Output
The raw total energy comes out at -0.3846 Ry per atom. For the energy relative to the elements, uncorrected, the calculation gives -10.7 eV/f.u. The calculated volume comes out at 292.5 Å³ per cell.

Here is an optimized crystal structure of Rb2Sm2PaS6 from the Alexandria database. Energies are from PBE.

Unit cell a=7.105 b=7.105 c=8.233 alpha=98.46 beta=98.46 gamma=119.76
Fractional coordinates of all 11 atoms:
1 Rb 0.169 0.831 0.000
2 Rb 0.831 0.169 0.000
3 Sm 0.334 0.666 0.500
4 Sm 0.666 0.334 0.500
5 Pa 0.000 0.000 0.500
6 S 0.062 0.387 0.688
7 S 0.257 0.257 0.312
8 S 0.387 0.062 0.688
9 S 0.613 0.938 0.312
10 S 0.743 0.743 0.688
11 S 0.938 0.613 0.312
+++
$\begingroup$ @jmbejara we are just fostering inefficiency. As it stands, the question is not specific about economics, and its likely to benefit more people in CV. With such policy, every single econometric CV question that has not been asked here is on-topic. Clearly not the best policy to pursue. $\endgroup$– luchonachoCommented Oct 16, 2017 at 14:40
**Materials data that have nothing to do with the text**
~~~
First-principles (PBE-GGA) data for a relaxed structure of Ba2NaLa, as listed in Alexandria via LeMat-Bulk.

The value obtained for the formation energy is 0.27 eV/atom. The calculation puts the energy above the most stable polymorph in this dataset at 0.57 eV/f.u. As for the crystal system: cubic. The total energy comes out at -36.13 eV/cell. The volume comes out at 198.50 Å³/f.u.

It has space group Fm-3m (No. 225), with a = 9.2600 Å, b = 9.2600 Å, c = 9.2600 Å, α = 90.00°, β = 90.00° and γ = 90.00°. The distinct sites, in fractional coordinates, are Ba at (0.2500, 0.2500, 0.2500), Na at (0.0000, 0.0000, 0.0000) and La at (0.0000, 0.0000, 0.5000).


Compound: CuAg4
Source: the Open Quantum Materials Database
Functional: PBE
Structure: optimized geometry

abc: 2.893 4.022 14.379
angles: 90.00 90.00 90.00
Fractional coordinates of all 10 atoms:
Ag (0.000, 0.000, 0.050)
Ag (0.000, 0.000, 0.241)
Ag (0.500, 0.500, 0.343)
Ag (0.000, 0.000, 0.448)
Ag (0.500, 0.500, 0.552)
Ag (0.000, 0.000, 0.657)
Ag (0.500, 0.500, 0.759)
Ag (0.500, 0.500, 0.950)
Cu (0.500, 0.500, 0.147)
Cu (0.000, 0.000, 0.853)

Energy of formation from the pure elements: 0.3 eV per formula unit
Offset from the most stable computed form: 33 meV/atom

Compound: TbDyCo2Ge4
Source: the Open Quantum Materials Database
Functional: PBE
Structure: optimized geometry

abc: 4.153 8.534 8.534
angles: 28.06 90.00 90.00
Fractional coordinates of all 8 atoms:
Co (0.500, 0.181, 0.181)
Co (0.000, 0.819, 0.819)
Dy (0.000, 0.609, 0.609)
Ge (0.500, 0.045, 0.045)
Ge (0.000, 0.249, 0.249)
Ge (0.500, 0.751, 0.751)
Ge (0.000, 0.955, 0.955)
Tb (0.500, 0.391, 0.391)

Total magnetization: 0.01 μB per cell
Calculated total energy: -5.88 eV/atom

Compound: PmAgPt
Source: the Open Quantum Materials Database
Functional: PBE
Structure: optimized geometry

abc: 4.798 4.798 4.798
angles: 60.00 60.00 60.00
Fractional coordinates of all 3 atoms:
Ag (0.250, 0.250, 0.250)
Pm (0.000, 0.000, 0.000)
Pt (0.750, 0.750, 0.750)

Energy of formation from the pure elements: -0.7 eV per formula unit
Offset from the most stable computed form: 386 meV/atom
Total magnetization: 0.00 μB per cell

Compound: KCdAsO4
Source: the Open Quantum Materials Database
Functional: PBE
Structure: optimized geometry

abc: 10.147 10.147 10.147
angles: 30.12 30.12 30.12
Fractional coordinates of all 14 atoms:
As (0.433, 0.433, 0.433)
As (0.567, 0.567, 0.567)
Cd (0.161, 0.161, 0.161)
Cd (0.839, 0.839, 0.839)
K (0.289, 0.289, 0.289)
K (0.711, 0.711, 0.711)
O (0.752, 0.473, 0.131)
O (0.527, 0.869, 0.248)
O (0.375, 0.375, 0.375)
O (0.131, 0.752, 0.473)
O (0.869, 0.248, 0.527)
O (0.625, 0.625, 0.625)
O (0.473, 0.131, 0.752)
O (0.248, 0.527, 0.869)

Calculated total energy: -5.22 eV/atom

Compound: BaZnAs2O7
Source: the Open Quantum Materials Database
Functional: PBE
Structure: optimized geometry

abc: 5.629 8.529 14.431
angles: 90.00 112.88 90.00
Fractional coordinates of all 44 atoms:
As (0.678, 0.315, 0.011)
As (0.905, 0.031, 0.154)
~~~
$\begingroup$ @luchonacho Allowing the overlap is by design and is not unique to economics.SE. As evidenced by this post (meta.stackexchange.com/a/4713/299907), this is something that occurs throughout stack exchange, broadly. I like the current policy. $\endgroup$– jmbejaraCommented Oct 16, 2017 at 15:09
1 Answer
A useful way to view the model is as follows. For each observation $i$, there are $K$ different possible observations (choices). So, there is a random variable $\varepsilon_{i,k}$ for each possible choice. We observe which choice is made and the values of the explanatory variables $\boldsymbol X_i$. Then, for a given distribution of the random variables $\varepsilon_{i,k}$ (given parameter values of the Type-1 EV), we know the conditional probability of picking choice $k$ conditional on $\boldsymbol X_i$.
This is explained in the following part of the relevant Wikipedia article:
It is also possible to formulate multinomial logistic regression as a latent variable model, following the two-way latent variable model described for binary logistic regression. This formulation is common in the theory of discrete choice models, and makes it easier to compare multinomial logistic regression to the related multinomial probit model, as well as to extend it to more complex models.
Imagine that, for each data point $i$ and possible outcome $k$, there is a continuous latent variable $Y_{i,k}^*$ (i.e. an unobserved random variable) that is distributed as follows:
$$\begin{align} Y_{i,1}^{\ast} &= \boldsymbol\beta_1 \cdot \mathbf{X}_i + \varepsilon_1 \, \\ Y_{i,2}^{\ast} &= \boldsymbol\beta_2 \cdot \mathbf{X}_i + \varepsilon_2 \, \\ \cdots & \\ Y_{i,K}^{\ast} &= \boldsymbol\beta_K \cdot \mathbf{X}_i + \varepsilon_K \, \\ \end{align} $$
where $\varepsilon_k \sim \operatorname{EV}_1(0,1),$ i.e. a standard type-1 extreme value distribution.
== Inserted here: materials data ==
The following is a PBE-GGA calculation of ZrTlW2 after structural relaxation, from Alexandria.

Computed properties:
energy: -8.783 eV per atom
calculated volume: 154.5 Å³ per cell
DOS(E_F): 0.540 states/eV/atom
ΔE_f: 40.7 kJ per mole of atoms
magnetization: 0.00 Bohr magnetons per cell
energy above the most stable polymorph in this dataset: 0.138 eV/atom

Cell and atoms, written as CIF:
```
data_ZrTlW2
_space_group_name_H-M_alt 'I m m 2'
_space_group_IT_number 44
_cell_length_a 3.492
_cell_length_b 4.729
_cell_length_c 9.358
_cell_angle_alpha 90.00
_cell_angle_beta 90.00
_cell_angle_gamma 90.00
loop_
_space_group_symop_operation_xyz
'x,y,z'
'-x,-y,z'
'-x,y,z'
'x,-y,z'
'x+1/2,y+1/2,z+1/2'
'-x+1/2,-y+1/2,z+1/2'
'-x+1/2,y+1/2,z+1/2'
'x+1/2,-y+1/2,z+1/2'
loop_
_atom_site_label
_atom_site_type_symbol
_atom_site_fract_x
_atom_site_fract_y
_atom_site_fract_z
Zr1 Zr 0.000 0.000 0.000
Tl1 Tl 0.000 0.500 0.227
W1 W 0.000 0.000 0.467
W2 W 0.000 0.500 0.761
```
This latent variable can be thought of as the utility associated with data point $i$ choosing outcome $k$, where there is some randomness in the actual amount of utility obtained, which accounts for other unmodeled factors that go into the choice. The value of the actual variable $Y_i$ is then determined in a non-random fashion from these latent variables (i.e. the randomness has been moved from the observed outcomes into the latent variables), where outcome $k$ is chosen if and only if the associated utility (the value of $Y_{i,k}^{\ast}$) is greater than the utilities of all the other choices, i.e. if the utility associated with outcome $k$ is the maximum of all the utilities. Since the latent variables are continuous, the probability of two having exactly the same value is 0, so we ignore the scenario. That is:
\begin{align} \Pr(Y_i = 1) &= \Pr(Y_{i,1}^{\ast} > Y_{i,2}^{\ast} \text{ and } Y_{i,1}^{\ast} > Y_{i,3}^{\ast}\text{ and } \cdots \text{ and } Y_{i,1}^{\ast} > Y_{i,K}^{\ast}) \\ \Pr(Y_i = 2) &= \Pr(Y_{i,2}^{\ast} > Y_{i,1}^{\ast} \text{ and } Y_{i,2}^{\ast} > Y_{i,3}^{\ast}\text{ and } \cdots \text{ and } Y_{i,2}^{\ast} > Y_{i,K}^{\ast}) \\ \cdots & \\ \Pr(Y_i = K) &= \Pr(Y_{i,K}^{\ast} > Y_{i,1}^{\ast} \text{ and } Y_{i,K}^{\ast} > Y_{i,2}^{\ast}\text{ and } \cdots \text{ and } Y_{i,K}^{\ast} > Y_{i,K-1}^{\ast}) \\ \end{align}Or equivalently:
\begin{align} \Pr(Y_i = 1) &= \Pr(\max(Y_{i,1}^{\ast},Y_{i,2}^{\ast},\ldots,Y_{i,K}^{\ast})=Y_{i,1}^{\ast}) \\ \Pr(Y_i = 2) &= \Pr(\max(Y_{i,1}^{\ast},Y_{i,2}^{\ast},\ldots,Y_{i,K}^{\ast})=Y_{i,2}^{\ast}) \\ \cdots & \\ \Pr(Y_i = K) &= \Pr(\max(Y_{i,1}^{\ast},Y_{i,2}^{\ast},\ldots,Y_{i,K}^{\ast})=Y_{i,K}^{\ast}) \\ \end{align}
Edit: Sometimes you'll see notation like this: $$ Pr( i \rightarrow k) = \Pr(\max(Y_{i,1}^{\ast},Y_{i,2}^{\ast},\ldots,Y_{i,K}^{\ast})=Y_{i,k}^{*}), $$ where $i \rightarrow k$ means that individual $i$ chooses choice $k$, is fairly concise once the appropriate notation is defined. If you're looking for a useful way to put this into a likelihood function, you might see something like this: $$ P_i = \prod_{k=1}^K Pr( i \rightarrow k)^{\mathbb 1_{i \rightarrow k}}, $$ where $\mathbb 1_{i \rightarrow k}$ is an indicator function that is equal to 1 when $i$ chooses choice $k$ and zero otherwise and $P_i$ is the PMF of the observation associated with individual $i$.
Edit 2:
For an explicit formula, see the same Wikipedia article. Check out, for instance, the section with the following:
As a result, it is conventional to set $C = -\boldsymbol\beta_K$ (or alternatively, one of the other coefficient vectors). Essentially, we set the constant so that one of the vectors becomes 0, and all of the other vectors get transformed into the difference between those vectors and the vector we chose. This is equivalent to "pivoting" around one of the $K$ choices, and examining how much better or worse all of the other $K-1$ choices are, relative to the choice are pivoting around. Mathematically, we transform the coefficients as follows:
\begin{align} \boldsymbol\beta'_1 &= \boldsymbol\beta_1 - \boldsymbol\beta_K \\ \cdots & \cdots \\ \boldsymbol\beta'_{K-1} &= \boldsymbol\beta_{K-1} - \boldsymbol\beta_K \\ \boldsymbol\beta'_K &= 0 \end{align}This leads to the following equations:
\begin{align} \Pr(Y_i=1) &= \frac{e^{\boldsymbol\beta'_1 \cdot \mathbf{X}_i}}{1 + \sum_{k=1}^{K-1} e^{\boldsymbol\beta'_k \cdot \mathbf{X}_i}} \, \\ \cdots & \cdots \\ \Pr(Y_i=K-1) &= \frac{e^{\boldsymbol\beta'_{K-1} \cdot \mathbf{X}_i}}{1 + \sum_{k=1}^{K-1} e^{\boldsymbol\beta'_k \cdot \mathbf{X}_i}} \, \\ \Pr(Y_i=K) &= \frac{1}{1 + \sum_{k=1}^{K-1} e^{\boldsymbol\beta'_k \cdot \mathbf{X}_i}} \, \\ \end{align}